Listing
~~~
A relaxed HoSiPd2 crystal, computed with r2SCAN.

abc: 5.496 6.930 7.277
angles: 90.00 90.00 90.00
Positions (direct):
Ho 0.358 0.750 0.028
Ho 0.642 0.250 0.972
Ho 0.142 0.750 0.528
Ho 0.858 0.250 0.472
Si 0.142 0.250 0.122
Si 0.642 0.750 0.378
Si 0.858 0.750 0.878
Si 0.358 0.250 0.622
Pd 0.593 0.948 0.678
Pd 0.593 0.552 0.678
Pd 0.407 0.448 0.322
Pd 0.093 0.448 0.822
Pd 0.093 0.052 0.822
Pd 0.407 0.052 0.322
Pd 0.907 0.948 0.178
Pd 0.907 0.552 0.178

## Properties
**Calculated formation energy**: -1.022 eV per atom
**Mass density**: 9.7 g/cm3
**VASP energy**: -22.9156 eV/atom
**Symmetry**: Pnma, No. 62

~~~~~

Record 1
VASP calculation (PBE) on a geometry-optimized K7Hg31 structure.

```
K7Hg31
1.0
11.534 0.000 0.000
-5.767 9.989 0.000
0.000 0.000 10.376
K Hg
7 31
direct
0.000 0.000 0.000
0.168 0.335 0.500
0.168 0.832 0.500
0.333 0.667 0.000
0.665 0.832 0.500
0.667 0.333 0.203
0.667 0.333 0.797
0.000 0.000 0.359
0.000 0.000 0.641
0.022 0.511 0.300
0.022 0.511 0.700
0.171 0.343 0.167
0.171 0.343 0.833
0.171 0.829 0.167
0.171 0.829 0.833
0.290 0.145 0.265
0.290 0.145 0.735
0.333 0.667 0.354
0.333 0.667 0.646
0.399 0.063 0.000
0.399 0.336 0.000
0.473 0.236 0.500
0.489 0.511 0.300
0.489 0.511 0.700
0.489 0.978 0.300
0.489 0.978 0.700
0.657 0.829 0.167
0.657 0.829 0.833
0.664 0.063 0.000
0.664 0.601 0.000
0.764 0.236 0.500
0.764 0.527 0.500
0.855 0.145 0.265
0.855 0.145 0.735
0.855 0.710 0.265
0.855 0.710 0.735
0.937 0.336 0.000
0.937 0.601 0.000
```

Properties
Crystal system: hexagonal
ΔE_f: -17.0 kJ/mol of atoms
Calculated total energy: -0.63 eV per atom

***

Record 2
VASP calculation (PBE) on a geometry-optimized CdFeP2S6 structure.

```
CdFeP2S6
1.0
3.066 -5.315 0.000
3.066 5.315 0.000
-2.060 0.000 6.785
Cd Fe P S
1 1 2 6
direct
0.000 0.000 0.000
0.345 0.655 0.000
0.615 0.281 0.835
0.719 0.385 0.165
0.083 0.443 0.244
0.279 0.284 0.757
0.436 0.074 0.238
0.557 0.917 0.756
0.716 0.721 0.243
0.926 0.564 0.762
```

Properties
Crystal system: monoclinic
MP2020-corrected energy: -5.107 eV per atom
ΔE_f: -58.2 kJ/mol of atoms
Calculated total energy: -4.80 eV per atom

***

Record 3
VASP calculation (PBE) on a geometry-optimized InGaAs2 structure.

```
InGaAs2
1.0
2.114 1.221 6.901
-2.114 1.221 6.901
0.000 -2.442 6.901
In Ga As
1 1 2
direct
0.000 0.000 0.000
0.500 0.500 0.500
0.380 0.380 0.380
0.871 0.871 0.871
```

Properties
Crystal system: trigonal
E above lowest polymorph: 0.0162 eV/atom
ΔE_f: -24.9 kJ/mol of atoms
Calculated total energy: -4.03 eV per atom

***

Record 4
VASP calculation (PBE) on a geometry-optimized Na3ZrInSiP2O12 structure.

```
Na3ZrInSiP2O12
1.0
7.939 -4.591 0.000
7.939 4.591 0.000
-0.021 0.000 22.637
Na Zr In Si P O
18 6 6 6 12 72
direct
0.002 0.998 0.500
0.031 0.643 0.590
0.037 0.294 0.082
0.294 0.037 0.582
0.316 0.971 0.925
0.318 0.346 0.167
0.346 0.318 0.667
0.355 0.635 0.751
0.366 0.985 0.250
0.635 0.355 0.251
0.643 0.031 0.090
0.660 0.673 0.334
0.673 0.660 0.834
0.692 0.968 0.414
0.968 0.692 0.914
0.971 0.316 0.425
0.985 0.366 0.750
0.998 0.002 0.000
0.000 0.985 0.153
0.325 0.327 0.320
0.327 0.325 0.820
0.656 0.656 0.487
0.656 0.656 0.987
0.985 0.000 0.653
0.002 0.983 0.354
0.327 0.329 0.521
0.329 0.327 0.021
0.663 0.667 0.188
0.667 0.663 0.688
0.983 0.002 0.854
0.026 0.326 0.923
0.326 0.026 0.423
0.360 0.964 0.089
0.696 0.994 0.258
0.964 0.360 0.589
0.994 0.696 0.758
0.028 0.626 0.426
0.291 0.992 0.756
0.296 0.694 0.255
0.328 0.623 0.921
0.363 0.661 0.593
0.623 0.328 0.421
0.626 0.028 0.926
0.659 0.957 0.587
0.661 0.363 0.093
0.694 0.296 0.755
0.957 0.659 0.087
0.992 0.291 0.256
0.013 0.796 0.700
0.015 0.155 0.916
0.020 0.171 0.202
0.120 0.557 0.485
0.128 0.349 0.866
0.132 0.508 0.374
0.136 0.511 0.081
0.137 0.294 0.983
0.153 0.340 0.587
0.154 0.305 0.260
0.155 0.015 0.416
0.169 0.989 0.091
0.171 0.020 0.702
0.172 0.509 0.758
0.172 0.801 0.918
0.185 0.788 0.200
0.187 0.827 0.593
0.213 0.966 0.813
0.225 0.805 0.310
0.294 0.137 0.483
0.304 0.536 0.975
0.305 0.154 0.760
0.305 0.521 0.259
~~~
Exercise
Please quote only the last part of the notes further up, starting with the line that has "0.797".
Result
0.667 0.333 0.797
0.000 0.000 0.359
0.000 0.000 0.641
0.022 0.511 0.300
0.022 0.511 0.700
0.171 0.343 0.167
0.171 0.343 0.833
0.171 0.829 0.167
0.171 0.829 0.833
0.290 0.145 0.265
0.290 0.145 0.735
0.333 0.667 0.354
0.333 0.667 0.646
0.399 0.063 0.000
0.399 0.336 0.000
0.473 0.236 0.500
0.489 0.511 0.300
0.489 0.511 0.700
0.489 0.978 0.300
0.489 0.978 0.700
0.657 0.829 0.167
0.657 0.829 0.833
0.664 0.063 0.000
0.664 0.601 0.000
0.764 0.236 0.500
0.764 0.527 0.500
0.855 0.145 0.265
0.855 0.145 0.735
0.855 0.710 0.265
0.855 0.710 0.735
0.937 0.336 0.000
0.937 0.601 0.000
```

Properties
Crystal system: hexagonal
ΔE_f: -17.0 kJ/mol of atoms
Calculated total energy: -0.63 eV per atom

***

Record 2
VASP calculation (PBE) on a geometry-optimized CdFeP2S6 structure.

```
CdFeP2S6
1.0
3.066 -5.315 0.000
3.066 5.315 0.000
-2.060 0.000 6.785
Cd Fe P S
1 1 2 6
direct
0.000 0.000 0.000
0.345 0.655 0.000
0.615 0.281 0.835
0.719 0.385 0.165
0.083 0.443 0.244
0.279 0.284 0.757
0.436 0.074 0.238
0.557 0.917 0.756
0.716 0.721 0.243
0.926 0.564 0.762
```

Properties
Crystal system: monoclinic
MP2020-corrected energy: -5.107 eV per atom
ΔE_f: -58.2 kJ/mol of atoms
Calculated total energy: -4.80 eV per atom

***

Record 3
VASP calculation (PBE) on a geometry-optimized InGaAs2 structure.

```
InGaAs2
1.0
2.114 1.221 6.901
-2.114 1.221 6.901
0.000 -2.442 6.901
In Ga As
1 1 2
direct
0.000 0.000 0.000
0.500 0.500 0.500
0.380 0.380 0.380
0.871 0.871 0.871
```

Properties
Crystal system: trigonal
E above lowest polymorph: 0.0162 eV/atom
ΔE_f: -24.9 kJ/mol of atoms
Calculated total energy: -4.03 eV per atom

***

Record 4
VASP calculation (PBE) on a geometry-optimized Na3ZrInSiP2O12 structure.

```
Na3ZrInSiP2O12
1.0
7.939 -4.591 0.000
7.939 4.591 0.000
-0.021 0.000 22.637
Na Zr In Si P O
18 6 6 6 12 72
direct
0.002 0.998 0.500
0.031 0.643 0.590
0.037 0.294 0.082
0.294 0.037 0.582
0.316 0.971 0.925
0.318 0.346 0.167
0.346 0.318 0.667
0.355 0.635 0.751
0.366 0.985 0.250
0.635 0.355 0.251
0.643 0.031 0.090
0.660 0.673 0.334
0.673 0.660 0.834
0.692 0.968 0.414
0.968 0.692 0.914
0.971 0.316 0.425
0.985 0.366 0.750
0.998 0.002 0.000
0.000 0.985 0.153
0.325 0.327 0.320
0.327 0.325 0.820
0.656 0.656 0.487
0.656 0.656 0.987
0.985 0.000 0.653
0.002 0.983 0.354
0.327 0.329 0.521
0.329 0.327 0.021
0.663 0.667 0.188
0.667 0.663 0.688
0.983 0.002 0.854
0.026 0.326 0.923
0.326 0.026 0.423
0.360 0.964 0.089
0.696 0.994 0.258
0.964 0.360 0.589
0.994 0.696 0.758
0.028 0.626 0.426
0.291 0.992 0.756
0.296 0.694 0.255
0.328 0.623 0.921
0.363 0.661 0.593
0.623 0.328 0.421
0.626 0.028 0.926
0.659 0.957 0.587
0.661 0.363 0.093
0.694 0.296 0.755
0.957 0.659 0.087
0.992 0.291 0.256
0.013 0.796 0.700
0.015 0.155 0.916
0.020 0.171 0.202
0.120 0.557 0.485
0.128 0.349 0.866
0.132 0.508 0.374
0.136 0.511 0.081
0.137 0.294 0.983
0.153 0.340 0.587
0.154 0.305 0.260
0.155 0.015 0.416
0.169 0.989 0.091
0.171 0.020 0.702
0.172 0.509 0.758
0.172 0.801 0.918
0.185 0.788 0.200
0.187 0.827 0.593
0.213 0.966 0.813
0.225 0.805 0.310
0.294 0.137 0.483
0.304 0.536 0.975
0.305 0.154 0.760
0.305 0.521 0.259